Eric Tang's Blog

Startups, Software, Everything Wildcard

How I Built This Blog: Jekyll + Disqus

I’ve wanted to play with Jekyll for a while now. A delayed flight and awesome internet connection at the Pittsburgh airport finally presented me the golden opportunity.

Here is a step-by-step tutorial on how I build this site:

Install Jekyll

You should first install jekyll. There is a good tutorial on the Github wiki. But If you don’t want to follow the official tutorial, here is what I did.

Install the Jekyll gem by running:

gem install jekyll

If you want syntax highlighting for code blocks, you have to install a python module called Pygments.

sudo easy_install Pygments

Of course you have to have python-setuptools installed.

First blog entry

After installing jekyll, I created my site structure that looks like this:

      |-- _config.yml
      |-- _includes
      |-- _layouts
      |   |-- default.html
      |   `-- post.html
      |-- _posts
      |   |-- 2012-01-20-some-post-I-wrote.textile
      |   `-- 2012-01-21-how-I-built-this-blog.textile
      |-- _site
      `-- index.html

The best way to get started is to take a look at someone else’s project. Since I’m terrible at anything css/html related, I borrowed a lot of code from User Obsessed.

The _config.yml file contains configuration settings of the site. Here is what mine looks like:

url: ""
    pygments: true
    exclude: [/bin, Gemfile, Gemfile.lock]
    markdown: kramdown
    permalink: pretty
    paginate: 10

      entity_output: symbolic

The index.html file is your homepage. The layouts directory contains the formating of your pages, and the posts directory contains individual posts.

To get a simple site up and running, I created config.ymlindex.htmllayouts/default.html and _posts/2012-1-21-sample-post.textile

After that, run

jekyll --auto --server

You should see a server starting up. Go to http://localhost:4000 to make sure it’s working.

There are many other things you can do with this barebone site, refer to the Wiki for details.


Comments are important for blogs. There are many different ways to add comments to your Jekyll-powered blog, I chose to use Disqus because it’s easy to integrate.

**Unrelated to this page: molecular data**
********
The following is a DFT calculation (ωB97M-V/def2-TZVPD) of 7 unconnected molecules or ions with the total composition C10H35N13O7.

```
65
Properties=species:S:1:pos:R:3:forces:R:3
C -9.99048 2.50332 1.72268 0.8 -0.1 0.9
C -8.70970 3.33739 1.35771 -1.9 -1.0 0.9
C -7.56179 2.82628 2.22781 0.0 0.0 1.3
O -7.34379 1.38149 2.17076 -0.3 2.0 -0.3
C -5.98024 1.08412 2.41058 0.0 -0.6 -1.0
N -8.39680 3.19907 0.00829 1.0 0.1 -3.0
H -10.99177 2.81389 1.42425 0.3 0.4 -0.8
H -10.09996 2.43753 2.80517 0.2 -0.2 0.2
H -9.72610 1.51585 1.34438 -0.6 -0.2 0.1
H -8.95253 4.39709 1.43623 0.5 0.1 1.0
H -7.78085 3.06940 3.26752 -0.4 -0.1 0.3
H -6.64367 3.39525 2.08147 0.2 -0.3 -0.8
H -5.35745 1.49334 1.61510 0.1 0.3 -0.1
H -5.92015 0.00375 2.27908 0.2 -0.1 0.5
H -5.56425 1.42669 3.35805 -0.3 -0.1 0.2
H -8.98804 3.72627 -0.61828 -0.1 0.0 0.1
H -8.33250 2.25948 -0.35660 0.0 -0.2 0.3
C -0.16457 3.02902 -1.01009 -1.6 1.6 2.6
O 0.46517 2.19980 -1.55627 2.1 -3.5 -2.6
N 0.12334 4.30929 -1.05112 1.2 3.8 -0.7
N -1.19647 2.82707 -0.18682 -1.5 -1.7 1.1
H 0.75403 4.67029 -1.75255 -0.1 -0.1 0.4
H -0.27695 4.93610 -0.36774 0.2 0.0 -0.6
H -1.32268 1.86993 0.10989 -0.3 -0.3 0.2
H -1.52653 3.52647 0.46280 0.1 -0.1 -0.4
C 1.67687 -1.22883 -1.32798 0.0 -3.2 0.3
O 1.99679 -2.36585 -1.05700 0.3 -1.6 0.2
N 0.57008 -0.79882 -1.80625 -5.2 0.9 -2.0
N 2.44694 -0.21081 -1.22754 5.9 4.0 1.4
H 0.55919 0.20790 -1.88694 -1.1 -0.2 -0.5
H -0.23647 -1.35966 -2.04082 0.3 0.1 0.3
H 3.42233 -0.41971 -1.06922 -0.2 0.3 0.3
H 2.13515 0.74470 -1.12814 0.1 -0.2 -0.2
C -2.19590 -1.06811 0.82751 -0.9 -1.3 0.6
O -1.86707 0.04462 1.12409 1.0 4.3 0.8
N -3.27956 -1.64729 1.17792 -5.1 0.2 2.0
N -1.42348 -1.87638 0.23142 4.6 -1.9 -3.2
H -3.53135 -2.58717 0.90711 0.2 -0.3 0.3
H -3.80761 -1.15027 1.88093 -0.4 -0.5 -0.3
H -1.70290 -2.81356 -0.02098 0.4 -0.1 0.2
H -0.50144 -1.46902 0.16808 0.2 -1.0 -0.6
C -4.24496 -4.84018 -0.08641 3.7 -0.5 0.7
O -3.15302 -4.39475 0.33409 -0.2 0.4 0.6
N -4.67332 -6.03298 0.21633 -0.9 -2.5 1.4
N -4.84189 -4.28023 -1.08036 -1.5 2.5 -2.5
H -4.23253 -6.54271 0.96864 -0.2 0.2 0.0
H -5.58307 -6.31165 -0.12249 -0.2 -0.3 0.2
H -4.38027 -3.43269 -1.37814 -0.6 0.1 -0.3
H -5.76780 -4.56370 -1.36749 -0.1 0.3 -0.2
C -5.15526 -2.51142 4.69158 -1.8 2.7 2.4
O -4.36376 -2.05058 3.95829 3.5 2.2 -2.9
N -5.66569 -3.65394 4.60904 -1.6 -6.9 -1.4
N -5.77294 -1.85334 5.68662 -0.1 2.5 2.0
H -6.37700 -3.96650 5.25436 0.2 -0.2 -0.7
H -5.42600 -4.16621 3.77225 -0.2 -0.6 0.2
H -6.40390 -2.34683 6.30182 0.1 0.7 -0.2
H -5.67172 -0.84855 5.70204 -0.2 -0.3 0.4
C -2.45766 1.62063 4.41252 -0.8 0.9 0.5
O -2.25608 2.48088 5.21514 0.9 2.8 2.7
N -3.37417 0.71651 4.58056 -3.0 -2.7 2.0
N -2.00960 1.60134 3.22264 2.9 0.9 -4.0
H -3.38222 -0.16770 4.09250 -0.5 -0.1 0.4
H -3.86744 0.89906 5.44280 0.0 -1.0 0.0
H -2.12989 0.77610 2.65289 0.3 0.4 -0.9
H -1.43826 2.39036 2.95598 0.2 -0.6 -0.2
```
Forces are in eV/Å.

Properties
net charge	-1
LUMO energy (alpha / beta)	2.23 / 2.23	eV
********

Luckily Disqus has make this process SUPER easy. Here is what you have to do:

  • Sign up for a disqus account, register your domain.
  • Copy the embeded code to your _layouts/posts.html. Remember to replace “example” with your own shortname.
  • Reload the page.

That’s it!

That’s it! You’ve set up your first jekyll blog!